Assignment >
Restate all of the notes below exactly.

File >
+++
Entry 1:
ORCA calculation (ωB97M-V with the def2-TZVPD basis set) on an isolated molecule of C4H8N2S.

Summary:
Energy: -18090.6611 eV
Gap between HOMO and LUMO: 7.84 eV
Molecular weight: 116.19 g/mol
ΔE to the lowest compared entry with this formula, charge and spin: 297.3 kJ/mol
Highest occupied orbital energy: -8.7 eV
Lowest unoccupied orbital energy: -0.86 eV

Geometry (Å):
C1 -0.88 -1.11 -0.02
C2 -0.01 0.20 -0.02
C3 0.99 0.01 1.15
C4 0.71 0.19 -1.37
N1 -2.12 -1.03 0.00
N2 -0.79 1.35 0.08
S1 -2.98 0.29 0.04
H1 -0.37 -2.06 -0.07
H2 1.69 0.84 1.16
H3 1.55 -0.92 1.03
H4 0.46 -0.02 2.10
H5 1.39 1.04 -1.44
H6 -0.02 0.28 -2.17
H7 1.28 -0.73 -1.50
H8 -0.90 1.67 1.04

Entry 2:
ORCA calculation (ωB97M-V with the def2-TZVPD basis set) on a structure of composition C20H39N4O5Ti.

Summary:
Charge: -1
Energy: -60674.4682 eV
<S²>: 2.00
Gap between HOMO and LUMO (spin up / spin down): 2.26 / 5.53 eV
Molecular weight: 463.42 g/mol
ΔE to the lowest compared entry with this formula, charge and spin: 1098.5 kJ/mol
Highest occupied orbital energy (spin up / spin down): 0.2 / -3.1 eV
Multiplicity: 3
Lowest unoccupied orbital energy (spin up / spin down): 2.45 / 2.44 eV

Geometry (Å):
Ti1 -0.01 -0.04 -0.06
C1 -0.21 4.20 -1.46
C2 -1.21 3.09 -1.15
C3 -1.88 3.36 0.25
C4 -1.16 3.00 1.62
C5 -2.24 3.09 2.69
C6 -0.05 3.98 1.99
N1 -0.55 1.57 1.45
C7 -0.91 0.48 2.60
C8 0.23 -0.61 2.80
N2 1.11 -1.04 1.61
C9 0.69 -2.50 1.23
C10 -0.82 -2.43 0.80
O1 -1.55 -3.37 1.05
O2 -1.10 -1.23 0.57
C11 2.53 -1.02 2.08
C12 2.93 0.28 2.81
C13 3.56 -1.28 0.96
C14 3.50 -0.36 -0.29
C15 4.24 -1.09 -1.41
C16 4.14 1.00 -0.07
N3 2.05 -0.24 -0.57
C17 1.67 0.36 -1.90
C18 0.63 1.59 -1.86
N4 -0.77 1.64 -1.33
C19 -1.74 0.99 -2.26
C20 -1.38 -0.43 -2.71
O3 -1.89 -0.79 -3.76
O4 -0.54 -1.04 -1.98
H1 -0.70 5.17 -1.32
H2 0.14 4.16 -2.49
H3 0.67 4.20 -0.81
H4 -2.01 3.27 -1.88
H5 -2.83 2.81 0.23
H6 -2.16 4.41 0.30
H7 -2.74 4.06 2.61
H8 -1.83 3.03 3.70
H9 -3.00 2.32 2.56
H10 -0.41 5.01 1.96
H11 0.82 3.90 1.33
H12 0.31 3.78 3.00
H13 -1.30 1.52 0.63
H14 0.45 1.92 1.64
H15 -1.89 0.08 2.46
H16 -0.96 1.06 3.54
H17 -0.23 -1.47 3.30
H18 0.81 -0.17 3.60
H19 0.79 -3.17 2.09
H20 1.26 -2.91 0.39
H21 2.65 -1.83 2.81
H22 2.43 1.16 2.39
H23 4.00 0.44 2.76
H24 2.69 0.23 3.87
H25 3.44 -2.32 0.63
H26 4.56 -1.24 1.39
H27 5.27 -1.32 -1.09
H28 4.31 -0.50 -2.32
H29 3.76 -2.04 -1.66
H30 5.13 0.89 0.39
H31 3.54 1.65 0.57
H32 4.28 1.53 -1.01
H33 1.79 -1.29 -0.50
H34 1.42 -0.40 -2.62
H35 2.55 0.83 -2.34
H36 0.63 2.01 -2.88
H37 1.19 2.30 -1.25
H38 -1.84 1.60 -3.17
H39 -2.71 0.94 -1.76
O5 -1.59 0.37 0.71

Entry 3:
ORCA calculation (ωB97M-V with the def2-TZVPD basis set) on a structure of composition C23H52O4OsP4.

Summary:
Charge: +4
Energy: -72466.7262 eV
<S²>: 6.05
Gap between HOMO and LUMO (spin up / spin down): 8.73 / 4.37 eV
Molecular weight: 706.79 g/mol
ΔE to the lowest compared entry with this formula, charge and spin: 0.0 kJ/mol
Highest occupied orbital energy (spin up / spin down): -20.0 / -20.0 eV
Multiplicity: 5
Lowest unoccupied orbital energy (spin up / spin down): -11.30 / -15.62 eV

Geometry (Å):
Os1 0.38 -0.89 0.37
P1 -1.30 -2.52 0.39
P2 1.67 -1.56 2.10
P3 1.66 -2.17 -1.20
H1 -0.28 5.37 -6.71
C1 -0.35 4.47 -7.34
C2 -1.54 3.91 -7.63
H2 -2.48 4.33 -7.25
C3 -2.95 -1.90 0.87
C4 -1.08 -3.98 1.48
C5 -1.72 -3.19 -1.26
C6 3.24 -0.62 2.10
C7 0.99 -1.23 3.75
C8 2.23 -3.28 2.31
C9 1.17 -2.15 -2.98
C10 1.85 -4.00 -1.02
C11 3.42 -1.66 -1.36
H3 0.59 4.07 -7.76
H4 -1.61 3.03 -8.28
H5 -3.13 -0.93 0.40
H6 -2.99 -1.79 1.96
H7 -3.71 -2.62 0.54
H8 -0.84 -3.66 2.50
H9 -0.28 -4.63 1.12
H10 -2.03 -4.53 1.50
H11 -1.96 -2.35 -1.92
H12 -2.61 -3.82 -1.15
H13 -0.90 -3.78 -1.70
H14 3.81 -0.90 3.00
H15 3.03 0.46 2.11
H16 3.84 -0.84 1.21
H17 1.65 -1.68 4.50
H18 -0.02 -1.63 3.87
H19 0.94 -0.15 3.93
H20 3.31 -3.28 2.50
H21 2.03 -3.90 1.43
H22 1.71 -3.73 3.16
H23 1.67 -2.99 -3.49
H24 1.46 -1.21 -3.46
H25 0.09 -2.28 -3.09
H26 2.00 -4.44 -2.01
H27 0.97 -4.48 -0.58
H28 2.73 -4.24 -0.41
H29 3.81 -2.03 -2.32
H30 4.04 -2.04 -0.54
+++

Here it is >
Entry 1:
ORCA calculation (ωB97M-V with the def2-TZVPD basis set) on an isolated molecule of C4H8N2S.

Summary:
Energy: -18090.6611 eV
Gap between HOMO and LUMO: 7.84 eV
Molecular weight: 116.19 g/mol
ΔE to the lowest compared entry with this formula, charge and spin: 297.3 kJ/mol
Highest occupied orbital energy: -8.7 eV
Lowest unoccupied orbital energy: -0.86 eV

Geometry (Å):
C1 -0.88 -1.11 -0.02
C2 -0.01 0.20 -0.02
C3 0.99 0.01 1.15
C4 0.71 0.19 -1.37
N1 -2.12 -1.03 0.00
N2 -0.79 1.35 0.08
S1 -2.98 0.29 0.04
H1 -0.37 -2.06 -0.07
H2 1.69 0.84 1.16
H3 1.55 -0.92 1.03
H4 0.46 -0.02 2.10
H5 1.39 1.04 -1.44
H6 -0.02 0.28 -2.17
H7 1.28 -0.73 -1.50
H8 -0.90 1.67 1.04

Entry 2:
ORCA calculation (ωB97M-V with the def2-TZVPD basis set) on a structure of composition C20H39N4O5Ti.

Summary:
Charge: -1
Energy: -60674.4682 eV
<S²>: 2.00
Gap between HOMO and LUMO (spin up / spin down): 2.26 / 5.53 eV
Molecular weight: 463.42 g/mol
ΔE to the lowest compared entry with this formula, charge and spin: 1098.5 kJ/mol
Highest occupied orbital energy (spin up / spin down): 0.2 / -3.1 eV
Multiplicity: 3
Lowest unoccupied orbital energy (spin up / spin down): 2.45 / 2.44 eV

Geometry (Å):
Ti1 -0.01 -0.04 -0.06
C1 -0.21 4.20 -1.46
C2 -1.21 3.09 -1.15
C3 -1.88 3.36 0.25
C4 -1.16 3.00 1.62
C5 -2.24 3.09 2.69
C6 -0.05 3.98 1.99
N1 -0.55 1.57 1.45
C7 -0.91 0.48 2.60
C8 0.23 -0.61 2.80
N2 1.11 -1.04 1.61
C9 0.69 -2.50 1.23
C10 -0.82 -2.43 0.80
O1 -1.55 -3.37 1.05
O2 -1.10 -1.23 0.57
C11 2.53 -1.02 2.08
C12 2.93 0.28 2.81
C13 3.56 -1.28 0.96
C14 3.50 -0.36 -0.29
C15 4.24 -1.09 -1.41
C16 4.14 1.00 -0.07
N3 2.05 -0.24 -0.57
C17 1.67 0.36 -1.90
C18 0.63 1.59 -1.86
N4 -0.77 1.64 -1.33
C19 -1.74 0.99 -2.26
C20 -1.38 -0.43 -2.71
O3 -1.89 -0.79 -3.76
O4 -0.54 -1.04 -1.98
H1 -0.70 5.17 -1.32
H2 0.14 4.16 -2.49
H3 0.67 4.20 -0.81
H4 -2.01 3.27 -1.88
H5 -2.83 2.81 0.23
H6 -2.16 4.41 0.30
H7 -2.74 4.06 2.61
H8 -1.83 3.03 3.70
H9 -3.00 2.32 2.56
H10 -0.41 5.01 1.96
H11 0.82 3.90 1.33
H12 0.31 3.78 3.00
H13 -1.30 1.52 0.63
H14 0.45 1.92 1.64
H15 -1.89 0.08 2.46
H16 -0.96 1.06 3.54
H17 -0.23 -1.47 3.30
H18 0.81 -0.17 3.60
H19 0.79 -3.17 2.09
H20 1.26 -2.91 0.39
H21 2.65 -1.83 2.81
H22 2.43 1.16 2.39
H23 4.00 0.44 2.76
H24 2.69 0.23 3.87
H25 3.44 -2.32 0.63
H26 4.56 -1.24 1.39
H27 5.27 -1.32 -1.09
H28 4.31 -0.50 -2.32
H29 3.76 -2.04 -1.66
H30 5.13 0.89 0.39
H31 3.54 1.65 0.57
H32 4.28 1.53 -1.01
H33 1.79 -1.29 -0.50
H34 1.42 -0.40 -2.62
H35 2.55 0.83 -2.34
H36 0.63 2.01 -2.88
H37 1.19 2.30 -1.25
H38 -1.84 1.60 -3.17
H39 -2.71 0.94 -1.76
O5 -1.59 0.37 0.71

Entry 3:
ORCA calculation (ωB97M-V with the def2-TZVPD basis set) on a structure of composition C23H52O4OsP4.

Summary:
Charge: +4
Energy: -72466.7262 eV
<S²>: 6.05
Gap between HOMO and LUMO (spin up / spin down): 8.73 / 4.37 eV
Molecular weight: 706.79 g/mol
ΔE to the lowest compared entry with this formula, charge and spin: 0.0 kJ/mol
Highest occupied orbital energy (spin up / spin down): -20.0 / -20.0 eV
Multiplicity: 5
Lowest unoccupied orbital energy (spin up / spin down): -11.30 / -15.62 eV

Geometry (Å):
Os1 0.38 -0.89 0.37
P1 -1.30 -2.52 0.39
P2 1.67 -1.56 2.10
P3 1.66 -2.17 -1.20
H1 -0.28 5.37 -6.71
C1 -0.35 4.47 -7.34
C2 -1.54 3.91 -7.63
H2 -2.48 4.33 -7.25
C3 -2.95 -1.90 0.87
C4 -1.08 -3.98 1.48
C5 -1.72 -3.19 -1.26
C6 3.24 -0.62 2.10
C7 0.99 -1.23 3.75
C8 2.23 -3.28 2.31
C9 1.17 -2.15 -2.98
C10 1.85 -4.00 -1.02
C11 3.42 -1.66 -1.36
H3 0.59 4.07 -7.76
H4 -1.61 3.03 -8.28
H5 -3.13 -0.93 0.40
H6 -2.99 -1.79 1.96
H7 -3.71 -2.62 0.54
H8 -0.84 -3.66 2.50
H9 -0.28 -4.63 1.12
H10 -2.03 -4.53 1.50
H11 -1.96 -2.35 -1.92
H12 -2.61 -3.82 -1.15
H13 -0.90 -3.78 -1.70
H14 3.81 -0.90 3.00
H15 3.03 0.46 2.11
H16 3.84 -0.84 1.21
H17 1.65 -1.68 4.50
H18 -0.02 -1.63 3.87
H19 0.94 -0.15 3.93
H20 3.31 -3.28 2.50
H21 2.03 -3.90 1.43
H22 1.71 -3.73 3.16
H23 1.67 -2.99 -3.49
H24 1.46 -1.21 -3.46
H25 0.09 -2.28 -3.09
H26 2.00 -4.44 -2.01
H27 0.97 -4.48 -0.58
H28 2.73 -4.24 -0.41
H29 3.81 -2.03 -2.32
H30 4.04 -2.04 -0.54